Hello guys, It appears that finally the meeting will likely not take place to mfm005's house (Mostly due to family pressure). It still may be ok, but we can't afford a bad situation on D-Day. This is why we decided to move the meeting to Strasbourg, to my place. We know that this change may be a problem for people so please consider it again. Final attendies list (invitations are closes now) me: All the period. Taratang : 27 to 30 July (train arriving 19h42) mfm005 : 27 July to 5 August !!! ARRIVED !!! colour_thief : 28 July to 11 August (train arriving at 13H42) PetitPrince : 27 July to 5 August (train arriving 18h33) Amnesia : 27 to 31 July (train arriving 18h45) Sy: Will finally come. Awaiting arrival time confirmation. About the place Let's be clear, my flat is small, maybe about 25 m, sixth floor (no lift), but we'll not meet to talk about Art Deco. Depending of attendies count we could move without any problem to a very good friend's larger appartment (already discussed and granted). Anyway sleeping place is not a problem but be aware that some will certainly use sleeping bag ! (as any geek meeting) I'm located on the center of the city with every convenient store around. Very good view on the cathedral witch is about 200 meters from my place. Food is up to attendies of course, but we have a very cheap supermarket very close (LIDL). - bought a climatiser - Map from the train station to my flat (15 min by feet). About the Period from 27 July Evening to 12 august Evening, everybody is welcome to stay as he want during this period. About the way to come -From England, the best way is Ryanair. stansted>Karlsruhe-baden = 50 (return ticket), karlsruhe is about 50 km from strasbourg but i can manage to grab you by car. - Inside France, if you have to take the train, you must use voyages-sncf. but more you book early your ticket, more it is REALLY cheaper !! (single to double price). example if you came from Paris, return ticket (aller-retour) will cost you 80 (if you book now) instead of 150 euro at the very last moment. - Paris have 4 train stations, if you want to go to Strasbourg you must use the "Gare de l'Est". - The Strasbourg train station is about 15 min by walk from my place, i will come and grab you. - if your flight land to Frankfurt ariport (may be cheaper than taking the TGV) there is a special luftansa bus to ply between airport and Strasbourg (Hilton Hotel). I don't know exaclty about the price but if i remember well it is around 20 Euro, travel is ~2h15. Departure from Frankfurt : 8h30, 11h, 13h30, 17h30, 21h, 22h15 Departure from strasbourg : 5h, 6h45, 9h, 12h30, 14h45, 17h30 how to come from Roissy charle de gaulle airport to Gare de l'Est train station : 1) Take the train RER line B and stop at Station Gare du Nord (and not gare de lyon) (~27 min). 2) Take the metro line 4, direction "Porte d'orlans", or line 5 direction "Place d'Italie", and stop at the Gare de l'Est. Only 1 station, less than 5 min. 3) Wait for the fucking TGV that will probably be in late (as usual). optional : if you want to save the metro ticket and feel enough confident to not lost yourself in Paris, than you do point 2 by walk. RER map : http://www.ratp.info/orienter/cv/carterer.php Metro map : http://www.ratp.info/orienter/cv/carteparis.php About the entertainment Since i don't have to move the shit here is what is available : - TGM1 & TAP arcade game with 2 arcade stick support and DVD recorder. - Xbox 360 +DOA arcade stick + Xbox Live (TGM-ACE, Ridge race 6, Lost-Planet) - a modded PS2 (so don't hesitate to bring some games) - a N64 with TEtrisphere, The New tetris and some other games. - 1 DS with Tetris DS (if i can find it again) - Piotr (Sy) will bring 1 DS - PetitPrince will bring 1 DS (maybe 2) - Taratang will bring a DS + PSP - a Laptop with a arcade stick (Heboris or whatever run on PC) - A monster nuclear converter 220>110 volts with 6 plugs (25Kg) - TGM3 strong possibility from colour_thief - large whiteboard (eg tournament, score...) - a video projector !! there is no way this new meeting setting change unless someone wrote my name on a Death note...
sounds interesting. not too far away from bielefeld. i might come ... but i need more to think about it.
I might be a couple of days here as I'm going to stuttgart for a street fighter tournament on the 2-5 august
I don't know how we'll manage the shit. We may use individual/shared system for everybody, but i would say 8 euro a day by person should be enough if we plan to only use supermarket. Of course there will likely be extra for those who want (bar, fast-food, restaurant, visit etc). I understand that budget might be tight for some, but i don't want tension about trivia. Btw, if you have sleeping bag, please let me know about it and bring them !
Is there anybody interested by the possibility I bring a SNES with TETRIS ATTACK?? (with 1 very good pad and 1 ~medium pad) I profite to update a few the 3 ranking lists to show the people who will be at the meeting (marked with a red cross) Ca va etr bourrain jago c'est moi qui tle dit..
(Misplaced records of molecules)
____________
Entry 1:
____________
Can TVs sold in Germany take a North American signal (different color encoding, different color subcarrier, different vertical scan rate)?
Depends on the TV really, if it's an older model it might not work.. but any newer TV should be able to support NTSC.